Hi from Arizona


New member
Got a Model 2D for Christmas and am starting to learn my way around - my wife's cousin has a Model 2 for several years now and it produces great meat so was an easy decision for me.  Three smokes in and I'm pretty happy.  The first pork butt I did was the best I've ever had -> didn't even sauce it, it was so good using the basic rub (no brine) from the Lazy-Q guide.  Which amazes me.  The second wasn't the best, I tried a leg of lamb I had around and it came out pretty bitter and too smoky - I only had a startup batch of hickory I got with the smoker and didn't rub the meat.  Bought some more wood after that and did my first brisket this weekend, separated a packer on two racks with a mix of hickory and maple and the rub from the Lazy-Q guide and it turned out decent.  Had some odd temp readings so i think I let it go a little too long - flavor was good but it was a touch dry - the cook was a lot shorter than I was expecting (started it overnight, and it was done in the morning well before lunch).  Still made the best leftover quesadillas though. 

Might try playing around with some test smokes, the hickory is pretty much turning to white ash each time but the maple had a nice black lump at the end this last time, used a chip screen and a couple ramp steps -> the hickory, though, was still white ash.  Maybe the hickory is too dry?  Got a remote temp tracker but the data seemed a bit wonky this last smoke, maybe a bad placement.

Anyway, thanks for reading my ramble.  Much good advice here, appreciate it!
Welcome to the board! Glad you are enjoying the smokes so far minus the lamb.

It could be a bit dry, the hickory. Really the only way to know is checking it with a tool (name escapes me right now). I get what you are getting with the maple, chunks of charcoal. And you mentioned the chip screen and ramp steps, so perhaps the hickory is dry.

For your brisket cook - what temp did you cook at and what was the internal temp when you pulled? A good way to go with brisket and pork butt for those long cooks, start checking from probe tenderness at 190*. Some cooks, you may go to 200, some you may not need to. Just depends on the piece of meat for that cook. You may read in books that brisket needs to be up in 203 range or so, but I think our smokin-in smokers cook differently and I’ve never had a brisket cook that high. Always 195-198 or so seems to be the jiggly and probe tender spot.

Misplaced records of molecules >
┌──
{
  "formula": "C28H61BrClF2N3O11P",
  "method": "wB97M-V/def2-TZVPD",
  "orbital_gap_ev": 7.94,
  "spin_multiplicity": 1,
  "largest_force_ev_per_a": 2.1,
  "energy_ha": -5670.46867,
  "total_charge": 1,
  "symbols": ["Br", "Cl", "P", "F", "F", "O", "O", "O", "O", "O", "O", "O", "O", "O", "O", "O", "N", "N", "N", "C", "C", "C", "C", "C", "C", "C", "C", "C", "C", "C", "C", "C", "C", "C", "C", "C", "C", "C", "C", "C", "C", "C", "C", "C", "C", "C", "C", "H", "H", "H", "H", "H", "H", "H", "H", "H", "H", "H", "H", "H", "H", "H", "H", "H", "H", "H", "H", "H", "H", "H", "H", "H", "H", "H", "H", "H", "H", "H", "H", "H", "H", "H", "H", "H", "H", "H", "H", "H", "H", "H", "H", "H", "H", "H", "H", "H", "H", "H", "H", "H", "H", "H", "H", "H", "H", "H", "H", "H"],
└──

And, you will hear from others on the board here not to chase the box temp with another probe. I’ve never watched what the temp does, just set up my program and run with it. Unless you are meaning a remote temp tracker for the meat, that is always nice to have - especially if it’s an overnight cook!

We look forward to hearing more about your cooks! Enjoy!
Welcome from Delaware, Sam!  It sounds like you are off and running, and a bit or experimentation will help in perfecting your smokes.  I suspect the hickory was too dry, as I typically get the lump of coal at the end of my smokes with hickory.  If you notice a "belch" (a burst of smoke coming from the top) in your first heating cycle (around 180-190*), then the wood is likely catching fire. 

Keep us posted on your smokes!  Cheers
Welcome from Missouri. It sounds like you are getting things figured out with your new smoker. Good luck and great eating with Lazy Q.
Welcome, from the frozen tundra of central Texas! I have a #2 analog and I use a chip screen lined with foil and have nice charcoal with each smoke now, no matter where I put the wood in the box.
Welcome Sam. You are in for a treat, or should I say many treats. Lots of good ideas and advise and good cooking going on here.  Danny